(Request)
Please copy the block further below unchanged.
(File)
'''
Version w
Here is crystalline K4MgV6O16 at its relaxed geometry from Materials Project. Energies are from GGA+U.

Output
Space-group type = P1 (1)
Density = 2.7 g/cm3
V = 16.6 Å³ per atom
Total moment = 4.0 μB per cell

POSCAR file:
```
K4MgV6O16
1.0
5.395 0.061 -0.039
0.098 9.112 0.280
-0.064 0.282 9.146
K Mg V O
4 1 6 16
Direct
0.160 0.698 0.147
0.151 0.752 0.587
0.184 0.154 0.293
0.202 0.358 0.818
0.148 0.961 0.845
0.627 0.870 0.366
0.682 0.389 0.140
0.631 0.110 0.648
0.619 0.657 0.856
0.627 0.027 0.015
0.662 0.490 0.511
0.968 0.492 0.532
0.958 0.997 0.014
0.545 0.530 0.009
0.505 0.987 0.502
0.921 0.702 0.854
0.935 0.044 0.681
0.935 0.883 0.357
0.991 0.394 0.124
0.535 0.572 0.697
0.589 0.420 0.316
0.570 0.220 0.095
0.495 0.921 0.193
0.453 0.091 0.825
0.431 0.809 0.881
0.563 0.297 0.590
0.550 0.687 0.418
```

***

Version x
Here is crystalline K4MgV6O16 at its relaxed geometry from Materials Project. Energies are from GGA+U.

Output
Space-group type = Cmm2 (35)
Density = 2.6 g/cm3
V = 17.3 Å³ per atom
Total moment = 4.0 μB per cell

POSCAR file:
```
K4MgV6O16
1.0
5.588 0.000 0.000
0.000 9.156 0.228
0.000 0.228 9.156
K Mg V O
4 1 6 16
Direct
0.188 0.721 0.221
0.172 0.823 0.677
0.172 0.177 0.323
0.188 0.279 0.779
0.129 0.500 0.000
0.648 0.874 0.374
0.628 0.362 0.138
0.648 0.126 0.626
0.628 0.638 0.862
0.640 0.000 0.000
0.640 0.500 0.500
0.935 0.500 0.500
0.935 0.000 0.000
0.476 0.500 0.000
0.513 0.000 0.500
0.954 0.627 0.873
0.947 0.116 0.616
0.947 0.884 0.384
0.954 0.373 0.127
0.532 0.577 0.689
0.532 0.423 0.311
0.532 0.189 0.077
0.543 0.919 0.199
0.543 0.081 0.801
0.532 0.811 0.923
0.543 0.301 0.581
0.543 0.699 0.419
```

***

Which structure loses on stability? version x does.

***

Version w
Here is crystalline K4MgV6O16 at its relaxed geometry from Materials Project. Energies are from GGA+U.

Output
Space-group type = P4 (75)
Density = 2.6 g/cm3
V = 17.4 Å³ per atom
Total moment = 2.0 μB per cell

POSCAR file:
```
K4MgV6O16
1.0
-1.102 5.324 2.388
-0.147 -3.663 8.098
8.734 1.443 0.812
K Mg V O
4 1 6 16
Direct
0.161 0.703 0.127
0.161 0.873 0.703
0.161 0.127 0.297
0.161 0.297 0.873
0.331 0.500 0.500
0.637 0.861 0.366
0.637 0.366 0.139
0.637 0.139 0.634
0.637 0.634 0.861
0.625 0.000 0.000
0.729 0.500 0.500
0.025 0.500 0.500
0.906 0.000 0.000
0.529 0.500 0.000
0.529 0.000 0.500
0.920 0.638 0.866
0.920 0.134 0.638
0.920 0.866 0.362
0.920 0.362 0.134
0.539 0.582 0.679
0.539 0.418 0.321
0.516 0.190 0.094
0.516 0.906 0.190
0.516 0.094 0.810
0.516 0.810 0.906
0.539 0.321 0.582
0.539 0.679 0.418
```

***

Version x
Here is crystalline K4MgV6O16 at its relaxed geometry from Materials Project. Energies are from GGA+U.

Output
Space-group type = P1 (1)
Density = 2.8 g/cm3
V = 16.6 Å³ per atom
Total moment = 4.0 μB per cell

POSCAR file:
```
K4MgV6O16
1.0
5.493 -0.273 -0.069
-0.425 8.981 0.321
-0.075 0.307 9.117
K Mg V O
4 1 6 16
Direct
0.222 0.615 0.180
0.189 0.775 0.620
0.125 0.248 0.422
0.177 0.311 0.848
0.169 0.017 0.172
0.640 0.888 0.359
0.639 0.343 0.145
0.608 0.131 0.646
0.699 0.626 0.871
0.620 0.989 0.002
0.657 0.510 0.502
0.962 0.512 0.498
0.926 0.038 0.011
0.555 0.479 0.001
0.508 0.012 0.504
0.002 0.623 0.883
0.912 0.140 0.661
0.966 0.946 0.337
0.942 0.331 0.146
0.594 0.592 0.694
0.556 0.405 0.309
0.469 0.171 0.105
0.448 0.892 0.166
0.480 0.071 0.821
0.610 0.796 0.918
0.519 0.312 0.598
0.540 0.682 0.410
```

***

Which structure loses on stability? version w does.

* * * * *

1.
DFT (PBE) results for a geometry-optimized Dy7BP2O17 structure.

```
Dy7BP2O17
1.0
-10.3802 -13.8308 -0.7722
5.3078 -3.9431 -0.7250
4.8724 -4.2863 11.2740
Dy B P O
28 4 8 68
Direct
0.7235 0.7963 0.1800
0.2765 0.2037 0.8200
0.2235 0.2037 0.3200
0.7765 0.7963 0.6800
0.8655 0.7831 0.4340
0.1345 0.2169 0.5660
0.3655 0.2169 0.0660
0.6345 0.7831 0.9340
0.6064 0.3138 0.1980
0.3936 0.6862 0.8020
0.1064 0.6862 0.3020
0.8936 0.3138 0.6980
0.2727 0.7164 0.0952
0.7273 0.2836 0.9048
0.7727 0.2836 0.4048
0.2273 0.7164 0.5952
0.4467 0.7147 0.5085
'''
(Solution)
Version w
Here is crystalline K4MgV6O16 at its relaxed geometry from Materials Project. Energies are from GGA+U.

Output
Space-group type = P1 (1)
Density = 2.7 g/cm3
V = 16.6 Å³ per atom
Total moment = 4.0 μB per cell

POSCAR file:
```
K4MgV6O16
1.0
5.395 0.061 -0.039
0.098 9.112 0.280
-0.064 0.282 9.146
K Mg V O
4 1 6 16
Direct
0.160 0.698 0.147
0.151 0.752 0.587
0.184 0.154 0.293
0.202 0.358 0.818
0.148 0.961 0.845
0.627 0.870 0.366
0.682 0.389 0.140
0.631 0.110 0.648
0.619 0.657 0.856
0.627 0.027 0.015
0.662 0.490 0.511
0.968 0.492 0.532
0.958 0.997 0.014
0.545 0.530 0.009
0.505 0.987 0.502
0.921 0.702 0.854
0.935 0.044 0.681
0.935 0.883 0.357
0.991 0.394 0.124
0.535 0.572 0.697
0.589 0.420 0.316
0.570 0.220 0.095
0.495 0.921 0.193
0.453 0.091 0.825
0.431 0.809 0.881
0.563 0.297 0.590
0.550 0.687 0.418
```

***

Version x
Here is crystalline K4MgV6O16 at its relaxed geometry from Materials Project. Energies are from GGA+U.

Output
Space-group type = Cmm2 (35)
Density = 2.6 g/cm3
V = 17.3 Å³ per atom
Total moment = 4.0 μB per cell

POSCAR file:
```
K4MgV6O16
1.0
5.588 0.000 0.000
0.000 9.156 0.228
0.000 0.228 9.156
K Mg V O
4 1 6 16
Direct
0.188 0.721 0.221
0.172 0.823 0.677
0.172 0.177 0.323
0.188 0.279 0.779
0.129 0.500 0.000
0.648 0.874 0.374
0.628 0.362 0.138
0.648 0.126 0.626
0.628 0.638 0.862
0.640 0.000 0.000
0.640 0.500 0.500
0.935 0.500 0.500
0.935 0.000 0.000
0.476 0.500 0.000
0.513 0.000 0.500
0.954 0.627 0.873
0.947 0.116 0.616
0.947 0.884 0.384
0.954 0.373 0.127
0.532 0.577 0.689
0.532 0.423 0.311
0.532 0.189 0.077
0.543 0.919 0.199
0.543 0.081 0.801
0.532 0.811 0.923
0.543 0.301 0.581
0.543 0.699 0.419
```

***

Which structure loses on stability? version x does.

***

Version w
Here is crystalline K4MgV6O16 at its relaxed geometry from Materials Project. Energies are from GGA+U.

Output
Space-group type = P4 (75)
Density = 2.6 g/cm3
V = 17.4 Å³ per atom
Total moment = 2.0 μB per cell

POSCAR file:
```
K4MgV6O16
1.0
-1.102 5.324 2.388
-0.147 -3.663 8.098
8.734 1.443 0.812
K Mg V O
4 1 6 16
Direct
0.161 0.703 0.127
0.161 0.873 0.703
0.161 0.127 0.297
0.161 0.297 0.873
0.331 0.500 0.500
0.637 0.861 0.366
0.637 0.366 0.139
0.637 0.139 0.634
0.637 0.634 0.861
0.625 0.000 0.000
0.729 0.500 0.500
0.025 0.500 0.500
0.906 0.000 0.000
0.529 0.500 0.000
0.529 0.000 0.500
0.920 0.638 0.866
0.920 0.134 0.638
0.920 0.866 0.362
0.920 0.362 0.134
0.539 0.582 0.679
0.539 0.418 0.321
0.516 0.190 0.094
0.516 0.906 0.190
0.516 0.094 0.810
0.516 0.810 0.906
0.539 0.321 0.582
0.539 0.679 0.418
```

***

Version x
Here is crystalline K4MgV6O16 at its relaxed geometry from Materials Project. Energies are from GGA+U.

Output
Space-group type = P1 (1)
Density = 2.8 g/cm3
V = 16.6 Å³ per atom
Total moment = 4.0 μB per cell

POSCAR file:
```
K4MgV6O16
1.0
5.493 -0.273 -0.069
-0.425 8.981 0.321
-0.075 0.307 9.117
K Mg V O
4 1 6 16
Direct
0.222 0.615 0.180
0.189 0.775 0.620
0.125 0.248 0.422
0.177 0.311 0.848
0.169 0.017 0.172
0.640 0.888 0.359
0.639 0.343 0.145
0.608 0.131 0.646
0.699 0.626 0.871
0.620 0.989 0.002
0.657 0.510 0.502
0.962 0.512 0.498
0.926 0.038 0.011
0.555 0.479 0.001
0.508 0.012 0.504
0.002 0.623 0.883
0.912 0.140 0.661
0.966 0.946 0.337
0.942 0.331 0.146
0.594 0.592 0.694
0.556 0.405 0.309
0.469 0.171 0.105
0.448 0.892 0.166
0.480 0.071 0.821
0.610 0.796 0.918
0.519 0.312 0.598
0.540 0.682 0.410
```

***

Which structure loses on stability? version w does.

* * * * *

1.
DFT (PBE) results for a geometry-optimized Dy7BP2O17 structure.

```
Dy7BP2O17
1.0
-10.3802 -13.8308 -0.7722
5.3078 -3.9431 -0.7250
4.8724 -4.2863 11.2740
Dy B P O
28 4 8 68
Direct
0.7235 0.7963 0.1800
0.2765 0.2037 0.8200
0.2235 0.2037 0.3200
0.7765 0.7963 0.6800
0.8655 0.7831 0.4340
0.1345 0.2169 0.5660
0.3655 0.2169 0.0660
0.6345 0.7831 0.9340
0.6064 0.3138 0.1980
0.3936 0.6862 0.8020
0.1064 0.6862 0.3020
0.8936 0.3138 0.6980
0.2727 0.7164 0.0952
0.7273 0.2836 0.9048
0.7727 0.2836 0.4048
0.2273 0.7164 0.5952
0.4467 0.7147 0.5085